Source
+++
[1]
Computed, not measured: the ion C6H11N2 with charge +1, with the ωB97M-V functional and the def2-TZVPD basis.

Results
orbital gap (spin up / spin down) = 7.6 / 6.1 eV
E_LUMO (spin up / spin down) = -3.39 / -8.20 eV
HOMO level (spin up / spin down) = -10.98 / -14.33 eV
ΔE to the lowest compared entry with this formula, charge and spin = 263.0 kJ/mol
E = -344.2468 a.u.
expectation value of S² = 2.008
2S+1 = 3
total charge = +1

Geometry (Å):
C1 -0.78154 -0.18290 -0.05405
C2 -3.20444 -0.29486 -0.24327
C3 0.21976 -1.66114 0.48811
C4 1.52144 -1.34539 -0.14446
C5 1.55740 0.25617 0.00554
C6 -0.00559 2.09452 0.25511
N1 -1.98545 -0.33808 0.17758
N2 0.18477 0.68957 -0.09698
H1 -3.53806 -0.13305 -1.34542
H2 -4.00062 -0.39141 0.55285
H3 0.31035 -1.54404 1.57991
H4 -0.32830 -2.54156 0.18883
H5 2.52322 -1.72703 0.33696
H6 1.44656 -1.58916 -1.23387
H7 2.01911 0.52306 0.93539
H8 2.08534 0.58483 -0.83640
H9 1.03244 2.45774 0.44561
H10 -0.24932 2.59799 -0.70336
H11 -0.58540 2.38664 1.15628

Cartesian forces, eV/Å:
C -1.5 -1.5 1.9
C -7.0 0.5 -2.4
C 0.9 -0.6 1.4
C 1.1 1.5 -0.7
C -0.1 -3.5 -0.9
C 1.5 1.6 -0.8
N 6.1 -0.3 0.4
N 0.3 1.2 0.8
H 0.9 -0.3 2.1
H 1.0 0.3 -1.2
H -0.7 0.1 -0.3
H -0.3 0.0 -0.1
H -2.2 0.2 -0.9
H 0.6 0.1 0.9
H 0.0 0.4 0.5
H 1.0 1.1 -0.9
H -0.8 -0.1 0.1
H -0.6 0.1 0.9
H -0.1 -0.7 -0.9

=====

[2]
Computed, not measured: the molecule C3H6N2O, with the ωB97M-V functional and the def2-TZVPD basis.

Results
orbital gap = 10.2 eV
E_LUMO = 0.67 eV
HOMO level = -9.48 eV
ΔE to the lowest compared entry with this formula, charge and spin = 387.2 kJ/mol
SMILES string = N[C@@H]1CNC1=O
E = -302.5456 a.u.
2S+1 = 1
total charge = 0

Geometry (Å):
C1 0.20346 -0.76889 0.56670
C2 -1.12429 -0.91874 -0.20774
C3 -0.05024 0.75847 0.33284
H1 1.84888 -0.02201 -0.40171
H2 1.97722 -1.75160 -0.17398
H3 0.16224 -1.11429 1.76271
H4 -1.84619 -1.68132 0.20230
H5 -0.81590 -1.09761 -1.40338
H6 -2.03513 0.67672 -0.97523
N1 1.40968 -0.92893 -0.34640
N2 -1.38835 0.55046 -0.00378
O1 0.79824 1.65179 -0.08878

Cartesian forces, eV/Å:
C 1.6 0.7 0.9
C 1.0 -1.2 -1.1
C 3.1 3.3 -4.0
H 0.7 -0.3 0.2
H 0.1 0.5 0.1
H 0.5 0.6 -3.4
H 0.4 1.1 -0.6
H -1.0 0.1 3.3
H 2.7 1.7 3.5
N -1.7 -1.1 1.6
N -3.1 -1.8 -3.4
O -4.2 -3.6 2.9

=====

[3]
Computed, not measured: a cluster of 2 separate species, C4H10O2 in total, with the ωB97M-V functional and the def2-TZVPD basis.

Results
orbital gap = 9.1 eV
E_LUMO = 0.77 eV
HOMO level = -8.34 eV
ΔE to the lowest compared entry with this formula, charge and spin = 107.7 kJ/mol
SMILES string = C/C=C(/C)O.O
E = -308.8572 a.u.
2S+1 = 1
total charge = 0

Geometry (Å):
C1 1.35904 0.96305 -1.78354
C2 0.42945 0.70714 -0.63126
C3 0.73519 -0.10754 0.38737
O1 1.95433 -0.69410 0.45827
C4 -0.24046 -0.47067 1.45857
H1 0.84183 0.74478 -2.72752
H2 2.20025 0.26246 -1.79081
H3 1.73753 1.99175 -1.82944
H4 -0.40725 1.37630 -0.46262
H5 1.98288 -1.44511 1.05672
H6 -1.26892 -0.29294 1.18906
H7 -0.00955 0.06503 2.38509
H8 -0.22684 -1.52868 1.73527
H9 -2.79809 -0.18328 -0.56874
H10 -4.23224 0.21588 -0.08725
O2 -3.46771 -0.34773 0.09935

Cartesian forces, eV/Å:
C -0.1 -0.3 -0.4
C 0.9 0.2 0.6
C -1.0 -0.2 -0.4
O 0.7 -0.2 -0.3
C 0.2 0.0 0.9
H 0.0 0.3 0.1
H 0.0 0.3 0.3
H -0.1 -0.2 0.0
H -0.3 -0.3 -0.4
H -0.3 0.1 0.1
H -0.2 0.4 -0.1
H -0.1 0.0 0.0
H 0.3 -0.1 -0.3
H -0.1 0.2 -0.2
H 0.4 -0.1 -0.1
O -0.3 0.0 0.3

=====

[4]
Computed, not measured: a cluster of 5 separate species, C28H69FN7O6 in total, with the ωB97M-V functional and the def2-TZVPD basis.

Results
orbital gap = 8.6 eV
E_LUMO = -2.25 eV
HOMO level = -10.88 eV
E = -2042.4996 a.u.
2S+1 = 1
total charge = +1

Geometry (Å):
C1 0.17121 2.28295 4.11765
C2 0.86608 1.71861 2.87888
C3 -0.09752 1.69628 1.68086
C4 0.31691 0.65208 0.67847
O1 -0.57471 0.62618 -0.48926
N1 -1.32962 -0.51026 -0.54479
C5 -2.58181 -0.50061 -0.17507
N2 -3.26135 0.60070 0.17562
C6 -4.17512 0.49449 1.35259
C7 -4.71236 -0.92205 1.60346
O2 -5.93774 -1.12569 0.94026
C8 -7.07190 -1.07441 1.79933
C9 -8.33391 -1.16913 0.97564
+++

Wanted
Repeat the whole of the rows further above verbatim.

Reply
[1]
Computed, not measured: the ion C6H11N2 with charge +1, with the ωB97M-V functional and the def2-TZVPD basis.

Results
orbital gap (spin up / spin down) = 7.6 / 6.1 eV
E_LUMO (spin up / spin down) = -3.39 / -8.20 eV
HOMO level (spin up / spin down) = -10.98 / -14.33 eV
ΔE to the lowest compared entry with this formula, charge and spin = 263.0 kJ/mol
E = -344.2468 a.u.
expectation value of S² = 2.008
2S+1 = 3
total charge = +1

Geometry (Å):
C1 -0.78154 -0.18290 -0.05405
C2 -3.20444 -0.29486 -0.24327
C3 0.21976 -1.66114 0.48811
C4 1.52144 -1.34539 -0.14446
C5 1.55740 0.25617 0.00554
C6 -0.00559 2.09452 0.25511
N1 -1.98545 -0.33808 0.17758
N2 0.18477 0.68957 -0.09698
H1 -3.53806 -0.13305 -1.34542
H2 -4.00062 -0.39141 0.55285
H3 0.31035 -1.54404 1.57991
H4 -0.32830 -2.54156 0.18883
H5 2.52322 -1.72703 0.33696
H6 1.44656 -1.58916 -1.23387
H7 2.01911 0.52306 0.93539
H8 2.08534 0.58483 -0.83640
H9 1.03244 2.45774 0.44561
H10 -0.24932 2.59799 -0.70336
H11 -0.58540 2.38664 1.15628

Cartesian forces, eV/Å:
C -1.5 -1.5 1.9
C -7.0 0.5 -2.4
C 0.9 -0.6 1.4
C 1.1 1.5 -0.7
C -0.1 -3.5 -0.9
C 1.5 1.6 -0.8
N 6.1 -0.3 0.4
N 0.3 1.2 0.8
H 0.9 -0.3 2.1
H 1.0 0.3 -1.2
H -0.7 0.1 -0.3
H -0.3 0.0 -0.1
H -2.2 0.2 -0.9
H 0.6 0.1 0.9
H 0.0 0.4 0.5
H 1.0 1.1 -0.9
H -0.8 -0.1 0.1
H -0.6 0.1 0.9
H -0.1 -0.7 -0.9

=====

[2]
Computed, not measured: the molecule C3H6N2O, with the ωB97M-V functional and the def2-TZVPD basis.

Results
orbital gap = 10.2 eV
E_LUMO = 0.67 eV
HOMO level = -9.48 eV
ΔE to the lowest compared entry with this formula, charge and spin = 387.2 kJ/mol
SMILES string = N[C@@H]1CNC1=O
E = -302.5456 a.u.
2S+1 = 1
total charge = 0

Geometry (Å):
C1 0.20346 -0.76889 0.56670
C2 -1.12429 -0.91874 -0.20774
C3 -0.05024 0.75847 0.33284
H1 1.84888 -0.02201 -0.40171
H2 1.97722 -1.75160 -0.17398
H3 0.16224 -1.11429 1.76271
H4 -1.84619 -1.68132 0.20230
H5 -0.81590 -1.09761 -1.40338
H6 -2.03513 0.67672 -0.97523
N1 1.40968 -0.92893 -0.34640
N2 -1.38835 0.55046 -0.00378
O1 0.79824 1.65179 -0.08878

Cartesian forces, eV/Å:
C 1.6 0.7 0.9
C 1.0 -1.2 -1.1
C 3.1 3.3 -4.0
H 0.7 -0.3 0.2
H 0.1 0.5 0.1
H 0.5 0.6 -3.4
H 0.4 1.1 -0.6
H -1.0 0.1 3.3
H 2.7 1.7 3.5
N -1.7 -1.1 1.6
N -3.1 -1.8 -3.4
O -4.2 -3.6 2.9

=====

[3]
Computed, not measured: a cluster of 2 separate species, C4H10O2 in total, with the ωB97M-V functional and the def2-TZVPD basis.

Results
orbital gap = 9.1 eV
E_LUMO = 0.77 eV
HOMO level = -8.34 eV
ΔE to the lowest compared entry with this formula, charge and spin = 107.7 kJ/mol
SMILES string = C/C=C(/C)O.O
E = -308.8572 a.u.
2S+1 = 1
total charge = 0

Geometry (Å):
C1 1.35904 0.96305 -1.78354
C2 0.42945 0.70714 -0.63126
C3 0.73519 -0.10754 0.38737
O1 1.95433 -0.69410 0.45827
C4 -0.24046 -0.47067 1.45857
H1 0.84183 0.74478 -2.72752
H2 2.20025 0.26246 -1.79081
H3 1.73753 1.99175 -1.82944
H4 -0.40725 1.37630 -0.46262
H5 1.98288 -1.44511 1.05672
H6 -1.26892 -0.29294 1.18906
H7 -0.00955 0.06503 2.38509
H8 -0.22684 -1.52868 1.73527
H9 -2.79809 -0.18328 -0.56874
H10 -4.23224 0.21588 -0.08725
O2 -3.46771 -0.34773 0.09935

Cartesian forces, eV/Å:
C -0.1 -0.3 -0.4
C 0.9 0.2 0.6
C -1.0 -0.2 -0.4
O 0.7 -0.2 -0.3
C 0.2 0.0 0.9
H 0.0 0.3 0.1
H 0.0 0.3 0.3
H -0.1 -0.2 0.0
H -0.3 -0.3 -0.4
H -0.3 0.1 0.1
H -0.2 0.4 -0.1
H -0.1 0.0 0.0
H 0.3 -0.1 -0.3
H -0.1 0.2 -0.2
H 0.4 -0.1 -0.1
O -0.3 0.0 0.3

=====

[4]
Computed, not measured: a cluster of 5 separate species, C28H69FN7O6 in total, with the ωB97M-V functional and the def2-TZVPD basis.

Results
orbital gap = 8.6 eV
E_LUMO = -2.25 eV
HOMO level = -10.88 eV
E = -2042.4996 a.u.
2S+1 = 1
total charge = +1

Geometry (Å):
C1 0.17121 2.28295 4.11765
C2 0.86608 1.71861 2.87888
C3 -0.09752 1.69628 1.68086
C4 0.31691 0.65208 0.67847
O1 -0.57471 0.62618 -0.48926
N1 -1.32962 -0.51026 -0.54479
C5 -2.58181 -0.50061 -0.17507
N2 -3.26135 0.60070 0.17562
C6 -4.17512 0.49449 1.35259
C7 -4.71236 -0.92205 1.60346
O2 -5.93774 -1.12569 0.94026
C8 -7.07190 -1.07441 1.79933
C9 -8.33391 -1.16913 0.97564